Sunday, August 23, 2009

Self Cleaning Ovens Are an Oxymoron

I was over at Ribbon's not too long ago and she was singing the praises of washing soda in relation to cleaning those yucky brown sticky bits on your oven racks. Damn the superlatively zen woman because I was then overcome with a wave of cleaning guilt because I haven't cleaned my oven for 4 years, actually given my memory, it's probably about six years because I bought a new one when I had my kitchen redone and nope, I've NEVER cleaned it.

Now anyone who knows me, also knows that this is totally out of character as I'm a total clean freak (bloody impossible endeavour on five acres I tell you). But anyone who knows me also knows that I'm not much of a 'baker' so the most my oven sees is garlic bread (Adam's addicted) the odd pizza and the Sunday Roast . . still, it was, I am ashamed to say, filthy to the point where I almost contemplated scrapping it and buying a new one.

To cut a long story short, I have spent the best part of my gloriously sunny afternoon washing horse rugs and cleaning the oven. Not in any particular order! And yep, the washing soda is working but this laborious pursuit prevented my Sunday excursion being anything more than a trip to the supermarket. Such is my life of excitement!

So in the absence of any pretty pics or Q Station adventures . . .I give you 12 things about me.

Why 12? Because Nicole over at Super Bloginess and Ribbon at Fragments Treasures Memory tagged me with the same meme "Six Things About You" so here goes. I'm not going to tag anyone for fear of being accused of favouritism, and you know I loves yous all, but feel free to run with it . . unless that is, I've guilted you into cleaning your oven!

I tell you if Adam as much as puts a single piece of grated cheese in that oven I'll kill him . . . slowly!
  1. I am outwardly a very confident and assertive person, inwardly I'm introspective and incredibly insecure

  2. I cannot stand doing anything by myself other than taking photographs which suit solitude. Even then, I always have my dog with me. So in reality, I am never alone.

Between two parts of the text: quantum chemistry results:
'''
# 1
126
Properties=species:S:1:pos:R:3:forces:R:3:lowdin_charge:R:1 method="wB97M-V/def2-TZVPD" homo_lumo_gap_ev=8.423 smiles="CCCN[C@@]1(CC(=O)Br)[C@@H]([C@H](I)CC)[C@@](B(O)OC)(B(O)N(C)C)[C@](OC#N)(P(O)(O)=S)OS1(=O)=O.CNC(C)=O.CNC(C)=O.CNC(C)=O.CNC(C)=O.CNC(C)=O"
C -2.981 1.497 4.068 0.147 -0.710 -0.223 -0.095
C -2.434 1.388 2.632 -0.196 -0.105 0.986 -0.214
C -1.077 0.705 2.682 0.560 0.919 0.594 -0.225
N -0.255 0.912 1.500 -0.664 -0.519 -0.751 -0.044
C 0.639 -0.132 1.093 -0.073 0.163 0.007 -0.408
C 1.497 -0.573 2.299 0.528 -0.786 -0.095 -0.160
C 2.072 0.544 3.105 -0.068 0.221 0.209 -0.784
O 2.392 1.614 2.746 -0.082 0.214 -0.078 0.092
Br 2.347 0.041 4.996 0.025 -0.125 0.006 0.679
C -0.065 -1.373 0.443 0.026 -0.249 -0.098 -0.184
C -1.450 -1.152 -0.234 -0.399 0.376 -0.169 -0.562
I -1.761 0.693 -1.369 -0.011 -0.005 0.229 1.023
C -2.644 -1.517 0.667 -0.197 -0.106 -0.228 -0.283
C -4.014 -1.039 0.204 0.042 -0.145 -0.032 -0.156
C 0.886 -2.274 -0.439 0.087 -0.226 0.059 -0.061
B 2.034 -3.008 0.417 0.139 0.130 0.305 -0.684
O 1.628 -4.126 1.151 -0.287 -0.059 -0.307 0.169
O 3.293 -2.559 0.521 -0.114 -0.033 -0.006 0.013
C 4.175 -3.053 1.523 0.421 0.267 -0.127 -0.016
B 0.054 -3.640 -0.785 0.283 0.107 -0.039 -0.592
O -0.981 -4.038 0.029 0.300 -0.433 0.155 0.168
N 0.382 -4.469 -1.934 -0.949 -0.079 -0.421 -0.093
C 0.922 -5.785 -1.568 0.385 0.271 0.409 -0.082
C -0.899 -4.696 -2.674 0.446 -0.227 0.281 -0.050
C 1.348 -1.551 -1.709 0.037 0.690 0.284 -0.366
O 0.241 -1.669 -2.659 0.310 -0.106 -0.196 0.006
C 0.421 -2.175 -3.833 0.000 0.375 0.790 -0.383
N 0.546 -2.605 -4.886 -0.028 -0.320 -0.837 0.215
P 2.995 -1.958 -2.545 1.046 -1.340 -0.594 0.290
O 4.127 -1.218 -1.731 -0.326 0.532 0.114 -0.167
O 2.954 -1.098 -3.890 -0.423 -0.325 0.149 -0.194
S 3.454 -3.799 -2.886 -0.294 0.086 0.164 0.425
O 1.421 -0.112 -1.569 -0.126 -0.470 0.446 -0.210
S 1.784 0.581 -0.164 0.694 1.358 0.704 0.682
O 1.503 1.966 -0.348 -0.399 -0.237 -0.367 -0.245
O 3.110 0.242 0.232 -0.118 -0.465 -0.178 -0.222
H -2.759 0.553 4.576 -0.009 0.006 0.177 0.076
H -2.492 2.286 4.636 -0.070 0.155 0.029 0.073
H -4.065 1.586 4.077 0.100 0.367 0.033 0.034
H -3.160 0.798 2.084 0.062 0.186 -0.531 0.077
H -2.327 2.392 2.229 -0.089 -0.049 -0.429 0.116
H -0.573 1.156 3.552 0.137 -0.133 0.099 0.117
H -1.174 -0.344 2.951 -0.050 -0.173 -0.277 0.115
H 0.161 1.828 1.438 -0.017 0.061 -0.023 0.113
H 2.395 -1.120 2.005 -0.022 -0.047 -0.174 0.107
H 0.953 -1.254 2.949 -0.258 0.128 0.024 0.115
H -0.291 -2.019 1.296 -0.131 0.057 0.117 0.134
H -1.558 -1.818 -1.081 0.319 -0.130 -0.047 0.044
H -2.704 -2.603 0.604 0.245 -0.126 0.177 0.103
H -2.467 -1.287 1.713 0.003 0.245 0.050 0.090
H -4.136 -1.241 -0.859 -0.020 0.045 -0.091 0.061
H -4.788 -1.606 0.719 -0.058 0.072 0.150 0.078
H -4.175 0.022 0.365 -0.043 0.099 0.002 0.036
H 2.048 -4.939 0.846 0.117 -0.035 0.333 0.125
H 4.491 -4.075 1.326 -0.134 -0.147 0.006 0.101
H 5.060 -2.421 1.505 0.023 0.047 -0.100 0.106
H 3.729 -2.963 2.511 -0.134 -0.200 0.051 0.099
'''

  3. I always wanted a shimmery, schparkly, backless dress like one I saw Shirley Bassey wear about 30 years ago, almost exposing a hint of bum cleavage. Sadly, I don't have the figure or that lovely coffee toned skin for it.

  4. I love alternative rock music but for the life of me can never remember the name of the song or who sung it and am forever singing riffs to Clare and asking her "Who sings this song and what's it called". She's very patient.

  5. I hate bras, even pretty, sexy ones. (not that they make many in my size! I am cursed with big norgs) Bras are uncomfortable, unnatural and I can't wait to whip it off the minute I get home. Over shoulder boulder holders give me the shits. Oh and I've never been able to do them up at the back. I'm a front-fastener.

  6. When the new job finally comes through, I'm going to have hypnotherapy to try to give up smoking and just hope I don't break into the chicken dance whenever someone says "What's for dinner?" Then again it could be a good daily exercise regime.

  7. I love the stinky pooey, grassy-breathed, sweaty smell of horses . . really it's intoxicating. Although recently I read that you're supposed to 'clean' your grey gelding's crusty penis with vegetable oil in order to prevent melanoma . . .Oh God . . what will the 'neigh'bours think (pun intended), me on my milking stool rubbing an Arab's willy with olive oil! Big issue is, I know he'll actually like it!

  8. I love that I can sit at my computer with all the doors and windows open, in little more than a pair of yoga pants and a T shirt on, with, 12 inch skinks skitting across the room, Butcher Birds having their tree-to-tree arguments, pretty grey and pink galahs grazing in the back garden and the sound of Lorikeets in the trees. Sunday BLISS! The only thing lacking is the odd grey kangaroo! We're too urban for the marsupials here.

  9. I think I have Agony Aunt written on my forehead but strangely, I like it when people confide in me, and they do! It's very flattering and I hope I can help because I have an overactive empathy gland

  10. I am trying to work out what my 'passion' is. I haven't felt 'real' joy for a long time. I'm happy, generally, very happy, but not joyful.

  11. I miss my dad more than I miss my husband . . is that bad?

  12. I do like to pick my nose . .but not in public and I wipe it on a tissue . . well you asked!
Right, time to see if the washing soda has done it's job . . I am never using my oven again.

How Awesome is this woman!


  1. I'm a front-fastener, too. Why add unnecessary contortions to an already despised maneuver, right?

    I have a backless dress in my closet that I haven't fit in 15 years. But I keep it around, because I haven't given up hope. Someday it will rise again!

    And garlic toast cannot be praised enough, says I...

  2. Anonymous3:47 pm

    Baino, where to start?-heh, heh...
    I finally cleaned the cooker that came with the flat. Mum got some new type cleaner and "
    who knows" how many years of food burn came right off, in about an hour. We've not used it since-LOL!

    You're pretty open on this and 'tis a joy to read...

    #5-haven't heard the "boulder-holder" schtick in a while-HA! Mum is the same like that. Especially when she has to go tot he clinic, as the darn thing gets in the way, wot?
    #6-been smoke-free almost 11-1/2 years, I have...and no hypnosis! Ican just imagine you doing the "Funky Chicken" at a meeting-HAW!
    #11-No 'tisn't and prob'ly for the same reason I miss my Grandmum more than my da...
    #12-Ditto wait..I do public nasal excavations, wot? heh, heh...

    And tho' I can't stand the song( at least the other version ), Shirley's vocals make it work! Nice! And enjoy your after-noon luv!

  3. Hmmm I haven't heard Shirley for so long isn't she great?!!!!!

    I love bras, pretty ones, sexy ones, lacy ones ...I'm a back fastener. I really like it if a man unfastens it though ...God if I can remember that far back.

    Been smoke free for ...ummm almost 5 years. Used to smoke like a chimney, I never miss it.

    I hate cleaning ovens too.

  4. I find it hard to believe that a capable woman such as yourself cannot fasten a behind-the-back bra. It really isn't that hard!?!
    I also love the smell of horses - I sometimes just go and find a field or stable full of horses just to stand there and smell them. As for the olive oil and horse penis - well, that is just one more reason for not actually owning a horse. That and the fact that my garden is the size of a postage stamp :0(

  5. Anonymous7:19 pm

    That was a really opened 12 points. You know Self cleaning ovens are rather a paradoxon. It sounds controversial but it makes sense. When you switch it on, the hat kills germs so in a Biological way it is cleaning.

  6. Are you practising that song for the office 'Welcome Baino' party!

    I love good well fitting sexy underwear. Only I know it is there. It is the 'for me' treat.

  7. Of course the only problem with wearing a shimmery, sparkly, backless dress is that presumably you'd need some kind of bra under it....

  8. #7 ROFLMAO

    I too haven't cleaned my oven in years but it is self cleaning and seems to keep clean due to lack of use. Loved the video.

    God bless.

  9. I'm with you on 1,3,4,5 - but the olive oil penis thing...Yuck!

  10. I don't clean the oven, I just move to another place, but then my oven has dust in it. As for bras, well I only buy grey ones now because they all end up that way anyhow.

  11. Love your idea of Sunday BLISS! And the rest of it too. -Jayne

  12. Loving the list and laughing at the list and listening to the list.

    Maybe you knew your Dad much longer than your husband. That could be a reason and I don't think it is bad.

    The new banner is amazing.

    Love Renee xoo

  13. Yeah!Cool stuff about you!
    I'm so with u on the bra's thing.I find them pretty but it is the first thing I take off,along with shoes when I come home,unless I have guests of course!lol
    Have a bice sunday :)

  14. you're too funny. you share more than I ever would but that's what makes you Baino! My husband loves the Shirley Bassey rendition of that song. She does look good.

  15. "Big Norgs" LMAO! is that really a bad thing?? We need to see a picture!
    Yes I am a pervert!

    I am the same way with new music, I like a lot of songs, but never know the titles!

  16. having never worn any kind of bra, i really have no preference :P lol

    nor a backless anything, much less a dress...

    but i'm with adam and megan, ANYTHING garlic works for me!

  17. Take out number 7 definitely and I would be convinced you were my sister that got away!!! ( a long way away at that!)

    Just ordered some new bras and I am still shuddering at how un-pretty they are!!

    Ovens? I have found the perfect cleaner - made by Kleeneze, its a gel that you paint on with a brush, leave for a short while and wipe clean! And yes - it works, every time!!!!!

  18. I love reading about you! Unless, you don't really care about tagging other people, you have to tag specific people in a meme. it's part of being assertive. I like that part when I have to make decisions and I have 10 friends and I am forced to choose three. Hahahah!It's crazy but I have to make those decisions and be assesrtive about it.

    I have never heard of a slef cleaning oven that did not spike the elctric bill every time you turn it on!

    Why not start smoking cessation now/ Easy for me to say huh?

  19. Ha ha ha had such a laugh reading this!

    I feel for ya with the whole bra situation its a total bitch, but do you not feel kinda hot when you see itty bitty 32A bras,and say "damn, thank buddha I have massive knockers??!"

    I'll send Maxi over to ya he cleans a mean oven!

  20. Oooh, I remember those Shirley Bassey dresses and I have a similar wish - I wish I could wear those spaghetti strap little skimpy, sexy dresses. Never have been able to, because I have shoulders like an olympic swimmer and upper arms to match. I look ug-leee in them.

    And self-clean ovens! Yes, they are a contradiction in terms, aren't they? I keep a sheet of silicone in the bottom of mine which rinses clean under the tap (they're sold for the purpose. The sheets, not the taps, daft wench). And I soak the shelves in biological washing powder. That does the trick. But what I can never do is get the glass clean. *Sigh*

  21. Ha ha, the problem of cleaning the oven is not so much doing it. Well, sure, that's tough work. But it's finally accepting that the oven has to be used again that's really difficult!

  22. Tsup*!* Tsup*!* What a mixture for my Monday breakfast read, thanking my lucky stars I only have to apply vaseline to my cats ears ... good luck ;)

  23. I am the complete opposite, not quite a clean freak but I do clean my oven and I have nothing, and I mean nothing on top so I need a bra with padding and toilet paper and...
    Great post though! Too funny!

  24. Well good luck with the dress, I'm losing my bid to be a size 12 by November big time! Maybe I should buy a dress as inspiration.

    Subby I just tried to put the racks back in and a little bitty thing fell out and now I can't fix it. . job for Ads methinks. I may never use mine again either.

    Well Sarah, necessity being the mother of invention, I might just have to go cold turkey. I can't afford them any more. Smokes, not bras.

    I know, it's pathetic DBM!

    Ropi I think you're supposed to wipe them EVERY time you use them to prevent the spatters sticking but who's got the time to do that!

    Nah, I'm yer Bridget Jones type I'm afraid.

    Nick you can get little sticky perky upper things with no straps. I've got it covered!

    There's the solution right there Mrs, just don't use it!

    Mim, I don't think I'm going there.

    Lorna what is it with underwear that it goes grey? I'm a black undies person mainly so it holds its 'colour' or lack of it.

    Thanks Jayne, helps when the sun is shining and all the chores are done!

    I did Renee, that's true. I lived next door to him for 20 years as well.

    Bra free and barefoot Candie. Perfect!

    Cali, I do tend to be a bit open I guess but there's still plenty I can keep to myself.

    Otin sadly the big norgs come with being a little overweight! I'm hardly a Playboy model so the photo will have to wait!

    Wuffa I'm pleased to hear that cross-dressing is not one of your hobbies

    Kate, I used something similar but had to sacrifice two old towels wiping off the gunk. I was ashamed totally ashamed.

Unrelated to this page: calculated molecules
~~~
[1]
{
  "formula": "C5H9N4O",
  "method": "the ωB97M-V functional and the def2-TZVPD basis",
  "elements": ["C", "C", "C", "C", "C", "N", "N", "N", "N", "O", "H", "H", "H", "H", "H", "H", "H", "H", "H"],
  "xyz": [[-0.611, 2.388, -1.248], [0.637, 2.973, -1.196], [-0.580, 1.327, -0.347], [-1.088, -2.142, -0.294], [0.329, -2.702, 1.570], [1.375, 2.283, -0.314], [0.632, 1.302, 0.191], [-0.320, -1.837, 0.607], [-1.665, -2.196, -1.341], [1.158, 0.487, 1.111], [-1.437, 2.686, -1.865], [1.027, 3.818, -1.729], [-1.337, 0.609, -0.096], [-0.358, -3.454, 1.963], [1.178, -3.215, 1.114], [0.683, -2.087, 2.399], [0.691, -0.407, 1.037], [-2.638, -2.278, -1.556], [2.325, 2.447, -0.006]],
  "forces_ev_per_angstrom": [[0.2, 0.1, 0.0], [-0.4, -0.1, -0.1], [-0.1, 0.2, -0.2], [0.4, 0.7, -0.1], [0.1, -0.6, 0.3], [0.4, 0.2, 0.0], [-0.6, -0.3, -0.2], [0.1, 0.4, 0.4], [-0.1, -0.4, -0.6], [0.3, -0.4, 0.6], [-0.1, 0.0, 0.0], [0.2, 0.1, 0.0], [0.0, -0.1, 0.2], [0.1, 0.1, 0.0], [0.0, 0.1, 0.1], [0.0, -0.2, 0.0], [-0.1, 0.6, -0.6], [-0.4, -0.1, 0.2], [-0.1, -0.2, 0.1]],
  "total_charge": 1,
  "relative_energy_ev": 3.513,
  "multiplicity": 1,
  "gap_ev": 10.31
}

[2]
{
  "formula": "C9H7MnN2O5",
  "method": "the ωB97M-V functional and the def2-TZVPD basis",
  "elements": ["O", "C", "Mn", "O", "C", "C", "O", "C", "O", "C", "O", "H", "C", "C", "N", "C", "C", "N", "H", "H", "H", "H", "H", "H"],
  "xyz": [[2.832, -1.957, -0.379], [2.050, -1.107, -0.437], [0.030, 0.328, 0.007], [-1.214, -2.431, 0.118], [-0.656, -1.423, 0.023], [0.501, 2.066, -0.162], [0.612, 3.229, -0.258], [-0.045, 0.516, -1.788], [-0.130, 0.705, -2.934], [0.283, 0.109, 1.777], [0.346, -0.009, 2.944], [1.373, 0.966, 0.239], [-3.199, -0.026, -1.580], [-2.925, 0.868, -0.437], [-1.819, 1.049, 0.276], [-2.103, 1.982, 1.286], [-3.404, 2.378, 1.144], [-3.918, 1.670, 0.052], [-3.070, -1.067, -1.286], [-4.235, 0.130, -1.892], [-2.540, 0.198, -2.417], [-1.387, 2.295, 2.018], [-3.982, 3.087, 1.710], [-4.832, 1.719, -0.319]],
  "forces_ev_per_angstrom": [[-3.4, 3.8, -0.3], [4.0, -4.3, 0.2], [0.9, 1.0, -0.2], [2.5, 4.2, -0.5], [-3.6, -6.5, 0.4], [0.5, 6.9, 0.5], [-0.2, -5.3, 0.2], [-0.4, 0.5, -9.7], [0.5, -0.8, 5.4], [1.0, -1.1, 10.3], [-0.3, 0.7, -6.5], [1.1, 0.2, -0.2], [-0.2, 0.5, 0.4], [-1.6, 0.0, -0.5], [-0.4, 1.5, 2.0], [2.0, -2.2, -1.8], [-3.7, -0.5, -2.3], [2.5, 1.3, 2.7], [0.0, -0.2, 0.0], [0.1, -0.2, -0.1], [0.0, -0.1, -0.2], [0.2, 0.2, 0.3], [-0.2, 0.2, 0.2], [-1.4, 0.2, -0.4]],
  "total_charge": 3,
  "relative_energy_ev": 0.000,
  "multiplicity": 4,
  "gap_ev": [9.03, 6.85]
}

[3]
{
  "formula": "C7H13NO",
  "method": "the ωB97M-V functional and the def2-TZVPD basis",
  "elements": ["C", "C", "C", "C", "C", "C", "C", "N", "O", "H", "H", "H", "H", "H", "H", "H", "H", "H", "H", "H", "H", "H"],
~~~
Here the page continues

    Ces I couldn't possibly pick six people. Plus I know that some don't care much for tags or memes so I refrain. Personally, I quite like em

    Haha Jelly they're not 'massive' Wouldn't mind a little 34A tho! And a bit more 'perkiness'. Everything's going south these days so it won't be long and all I'll need is a belt to keep the girls under control.

    So true Dot. I may never use it again. Although getting Garlic Boy to comply might be a bit difficult.

    *Tsup!* Bimbimbie, sorry if I made you sputter your coffee!

  25. What's a skink? I could help you with the hypnotherapy if I were closer and probably the equine appendage oil massage...

  26. cleaning the oven oooh oooh oooh and oooh

  27. you smoke and pick your nose?

    lol. sorry just getting ove, the nets been down all day...brutal...

    i don't like to wear bras either...and i like alternative rock as well...amazing what we have in common.

    dads have a special place in our hearts...

    hope you find that joy soon. smiles.

  28. I really like your style of writing. I wish I could write like this but since English is not my first language I am always afraid to say things that are not accurate, like I always say it’s raining like dogs and rats or whatever I can’t seem to remember which animals are raining. It is so warm here that I only use the oven in winter and it’s supposed to be self-cleaning – well I guess it is, I have not looked too close for a quite a while.

  29. You are a treasure, big norgs and nose pickings and all!

  30. fascinating, all of it, but you stinker, did you have to put that last nose=y one in at the end? you know i hate references to bodily functions. couldn't you have thought about your dear friend kj just once?

    only for you did i read your list twice. and only because it's you will i admit that you are an honest hoot of a woman, so much so that i am overlooking the nose-y information just this once.

    p.s. your statement about missing your father made me swallow hard. and as far as bras go: f---them. i hate them too. especially in humid weather. i am a wild woman trying to get the damn thing on. at least i've lost weight. more compact.


  31. Mmmm, garlic bread. I haven't cleaned my oven properly in ages. It wasn't too clean when I moved in here, and I've maintained that standard, it passes inspection whenever the property manager does one so that's good enough for me. what irks me is the roof of the oven. The baked on yuk up there cannot be removed. I spray it with oven cleaner and once that's done its job I can wash/wipe till the cows come home and it doesn't come clean. I can't even see it because it's a free standing stove and i'd have to lie on the floor and shine a torch in there. It has no light. Anyway....self-cleaning ovens are fantastic. My daughter has one.

  32. Oh LOL Baino, reading about you was a good chuckle. And look, can we just not talk about cleaning ovens - not after the Toulouse sausage whizzed all over the insides of mine yesterday. I swear there must now be garlic laden pork fat everywhere. So much for that Frenchman.

  33. Oh, Baino

    That was such a good laugh! I adore your honesty.

    And you're just as awesome as Bassey (in your own way).

  34. Big love to you and thanks for playing.
    I've tried to leave comments over the past couple of days but for some weird reason I haven't been able to.
    here's hoping this one sticks.

    xoxoxo Ribbon

    Baino.. I'm totally with you on the bras, but I don't have big boobies :)

  35. I'm learning a new slang language reading your blog. Boulder holders (a hoot), Norgs (that's a new one on me).

    Re: your dad; he probably gave you unconditional love - husbands never do. Maybe that's why you miss him more.

  36. Anonymous4:18 am

    Im in love with my yoga pants! I have so many different ones all from They have so many different styles and colors.

  37. I am sending love on the wind.


  38. Just tell your Arab to lie back and think of Persia.

  39. Anonymous10:15 am

    I think I will carry on feeling gulity for a while...

    I like the sound of your Sunday bliss! -but not sure about the 'skinks' (I had to google that one!)

    Joy is different to happiness. Havn't felt that in a while either.

    Good luck with the hypnotherapy. BTW I have been thinking about Kylie's post about breaking habits ('web-breaker' on her side-bar)- may be useful in your quest to quit the ciggies.

  40. I know you better after this post and LIKE YOU SO MUCH TOO! What fun!

    I would like to try on this backless dress of yours...and my oven has NOT been cleaned recently...I will NOT try to remember the last time!

    We have a new horse next door...he is a joy! PURE sweetness! I will not volunteer to help with his penis care!! ACK!

  41. oh lovely!
    it seems i have popped by at just the right moment - how kind of you to give me the quick synopsis version of Baino.

    i am pro chucking out ovens when they get dirty. i haven't cleaned my oven in ages either. what's the baking soda trick? does it mean i don't actually have to scrub? can i just quickly spray it with a diluted whisper of baking soda and voila! it's done? because that would be good.

  42. Seriously now, can you explain something to the uninitiated but how on earth is an oven, any oven at all supposed to clean itself?

    Does it have a little mechanical man inside who wakes up each morning, yawns, stretches and ambles out to the garden where he fills a bucket of soapy water for the daily oven-renewal task..?

  43. I am in a bad mood quite often! I am not always a ray of sunshine! LOL!

  44. I'm a front fastener, too! I thought I was the only one!

  45. Going back to your first sentence, I read the same tip, but the only place big enough to soak my oven racks is the bathtub, I'm going to try it anyway, but I'll be crossing my fingers that no damage is done to the tub. Not from the washing soda, but I might scratch the tub with the racks....

  46. lol... most times i'm in walking shorts and t-shirt, even in winter... til i have to go out, that is ;)

  47. Anonymous11:57 pm

    I use the oven or any other equipment only in crisis.

  48. I cleaned my oven a few months ago and covered the rack in foil. I helps although the only thing I use it for is vegetables, potatoes and casseroles as I don't eat meat or bake generally. Love your 12, and as for big norgs and bras, don't even get me started...
